A Marine's opinion of weapons seizure

Think that always makes me laugh about all of this gun law stuff is not all of us live in an area where 911 response is only a few minutes......which in a time of fear for you life is still to long. 911 response by me is often closer to an hour, in regards the law enforcement. We live in southern most part of our county. Believe the sheriff's department in this county is made up of 12 people. If you call them to report gun shots they generally do not even respond as damn near everyone shoots on there property. Hell, Mike up the road was setting off some tannerite yesterday. So they want to ban firearms.....if it ever were to get to the point where we were not allowed to own them at all what about us folks out here on the fringes? Banning firearms is not going to stop a criminal from getting one......it is just going to stop me from being able to defend myself in the slim chance that a criminal tries to commit a crime against me....
Why the Second Amendment is so important is that it protects all the others. The founders gave us this guarantee to protect us (the people) against an out of control electorate. Tyrants!
"Senator Feinstein has said, the legislation will be carefully focused to protect the rights of existing gun owners by exempting hundreds of weapons used for hunting and sporting purposes."

Oh great, now the government is going to tell me what I can use to go hunting. We must use only "state approved" guns.

And the next time there's another D.C. sniper incident, the outcry will start over. The gun control crowd will start demanding a ban on all hunting rifles because of their potential use as "sniper rifles."
Amen to this original post and all the support of our rights in this thread. As a veteran and gun owner, as well as a proud American, this is a cause that is very important to me, my children and grandchildren, and yours.

And... for my birthday last week, I received a two year membership to the NRA from my daughters, as well as some side arm ammo. How about that?!
The second amendment does NOT grant us gun rights, It AFFIRMS them. The Government has no power to grant rights. They come from ABOVE the government.

I would like to see everyone coming of age required to put in a stint in some public service (military, medicine, education, etc ) to EARN the privilage to vote. Then those who want to vote will be motivated to know what they are voting on.
I WILL NOT register any of my firearms with any government agency. I've owned guns since my parents thought I was old enough and responsible enough to have one. I have owned firearms of many types, but none of them are "automatic weapons". I like to hunt every once in a while, but am not an avid hunter. I enjoy target practice with my guns, but in a safe and secure area. I'm also with INK, I live out in the middle of nowhere and getting the local sheriff out here is a joke. I believe I have the right to defend what is mine and no one will take that from me without a fight. They will get my guns, when they pry my cold dead fingers off of them.
They are NOT going to take your weapons away!

## Misplaced data records
- - -
(1)
First-principles (SCAN) data for a PBEsol-optimized structure of Ca2Al4Si6O21, as listed in Alexandria via LeMat-Bulk.

a = 6.486 Å, b = 9.209 Å, c = 17.235 Å
α = 90.00°, β = 90.00°, γ = 109.13°
Atoms (fractional coordinates):
Ca  0.393  0.026  0.609
Ca  0.893  0.526  0.391
Ca  0.376  0.380  0.876
Ca  0.876  0.880  0.124
Al  0.876  0.234  0.848
Al  0.376  0.734  0.152
Al  0.004  0.732  0.666
Al  0.504  0.232  0.334
Al  0.812  0.341  0.594
Al  0.312  0.841  0.406
Al  0.706  0.817  0.899
Al  0.206  0.317  0.101
Si  0.505  0.488  0.644
Si  0.005  0.988  0.356
Si  0.423  0.050  0.879
Si  0.923  0.550  0.121
Si  0.013  0.978  0.771
Si  0.513  0.478  0.229
Si  0.128  0.484  0.739
Si  0.628  0.984  0.261
Si  0.063  0.067  0.983
Si  0.563  0.567  0.017
Si  0.193  0.608  0.534
Si  0.693  0.108  0.466
O  0.609  0.223  0.872
O  0.109  0.723  0.128
O  0.738  0.620  0.649
O  0.238  0.120  0.351
O  0.537  0.324  0.619
O  0.037  0.824  0.381
O  0.528  0.916  0.876
O  0.028  0.416  0.124
O  0.260  0.062  0.808
O  0.760  0.562  0.192
O  0.377  0.467  0.729
O  0.877  0.967  0.271
O  0.295  0.045  0.961
O  0.795  0.545  0.039
O  0.357  0.533  0.577
O  0.857  0.033  0.423
O  0.864  0.904  0.983
O  0.364  0.404  0.017
O  0.948  0.480  0.523
O  0.448  0.980  0.477
O  0.895  0.111  0.771
O  0.395  0.611  0.229
O  0.140  0.660  0.735
O  0.640  0.160  0.265
O  0.027  0.193  0.924
O  0.527  0.693  0.076
O  0.176  0.757  0.582
O  0.676  0.257  0.418
O  0.882  0.830  0.822
O  0.382  0.330  0.178
O  0.968  0.376  0.676
O  0.468  0.876  0.324
O  0.064  0.415  0.826
O  0.564  0.915  0.174
O  0.064  0.932  0.683
O  0.564  0.432  0.317
O  0.075  0.122  0.074
O  0.575  0.622  0.926
O  0.761  0.155  0.556
O  0.261  0.655  0.444
O  0.634  0.961  0.701
O  0.134  0.461  0.299

Results
M_tot in μB/f.u.: 2.11
Formation energy (no corrections) in meV/atom: -2994
E_tot in eV per cell: -680.2
Symmetry: Pc
Crystal system: monoclinic

(2)
First-principles (SCAN) data for a PBEsol-optimized structure of CaY2Ta, as listed in Alexandria via LeMat-Bulk.

a = 3.269 Å, b = 5.802 Å, c = 5.802 Å
α = 108.31°, β = 90.00°, γ = 90.00°
Atoms (fractional coordinates):
Y  0.000  0.500  0.000
Y  0.000  0.000  0.500
Ca  0.500  0.000  0.000
Ta  0.500  0.500  0.500

Results
M_tot in μB/f.u.: 0.02
E_tot in eV per cell: -129.6
Symmetry: Cmmm
Crystal system: orthorhombic

(3)
First-principles (SCAN) data for a PBEsol-optimized structure of ZrCl3, as listed in Alexandria via LeMat-Bulk.

a = 5.966 Å, b = 6.462 Å, c = 6.462 Å
α = 120.00°, β = 90.00°, γ = 90.00°
Atoms (fractional coordinates):
Zr  0.000  0.000  0.000
Zr  0.500  0.000  0.000
Cl  0.750  0.684  0.684
Cl  0.750  0.000  0.316
Cl  0.750  0.316  0.000
Cl  0.250  0.316  0.316
Cl  0.250  0.000  0.684
Cl  0.250  0.684  0.000

Results
M_tot in μB/f.u.: 0.00
Formation energy (no corrections) in meV/atom: -1966
E_tot in eV per cell: -125.0
Symmetry: P6_3/mcm
Crystal system: hexagonal

(4)
- - -

Just like Obama was going to raise taxes for those earners over $250,000 it really became $450,000. I'm surprise he didn't settle for a million and up.

I'm not no gun lover but I've been around and know talk is cheap. Maybe a ban on new semi weapons MIGHT happen but the old weapons will be grandfathered in, just like last time.

Besides its not going to do much good. Its like trying to pump the water out of the Titanic to keep it afloat, not going to work. We need to stop medicating the kids so they "behave" and bring morals back. More then that needs to be done but it be a start. Lowering this 21 year old drinking age also might help. You can buy guns at age 18 but need to be 21 to buy a beer, what a joke. Least 20 year olds should be able to hang out at a bar if they please, Canada has a 19 year drinking age for most of the country and it works fine for them, Mexico and overseas its 18. The USA has the highest drinking age and the most problems. No talk about that-lowering the drinking age. Nope, 21 is here to stay. Ask yourself how old were you when you had your first few drinks. Things were different back then, the law was not enforced as tough as it is today. I feel sorry for these 19-20 year olds, they can buy all the guns they please but a beer, nope.
These are the same politicians that swore a similar oath, "to uphold the Constitution and laws of the Unites States" and balk at many laws that are on the books regarding a number of important topics which, if mentioned, would toss this right over to the politics forum, so I wont go there. But to bend and contort the 2nd amendment into whatever the "flavor of the week" is by these pukes that lock themselves into public office by drawing guaranteed districts is criminal on its face. Drugs are illegal, but that hasn't stopped them. What makes them think making certain guns illegal will do? How about making law breaking people have better guns than the population....Ask LAPD, who pack M-4's on the back of their motorcycles/cruisers now.
Gun control does not make for a safer country, they've already done the study once before. Gun control and gun free zones just make for a target rich enviroment for criminals. Gun control should only be about being able to hit your target.

I don't see anything about our Constitution being political, only politicians make it political. It's the fundamentals that our country was founded on and what all military personnel swear to protect.

This is from a few years ago, but still valid!

[ame="http://youtu.be/qyoLuTjguJA"]302 Found[/ame]
There is a feature on the NRA website you can write your elected officials about gun control. Put your zip code in and hit enter.

If you select the first option: Stop the Semi Auto Gun Ban. It will send a letter to the Pres, VP, Your Senator and Your House Rep. The letter is already drafted. Just put in your name etc hit enter and it will be emailed. You can do the other options but you can draft your own letters. Pretty easy. Worth 5 minutes to protect our 2nd amendment rights.

If you haven’t been following the anti-gun coaltition. The word “assault weapon” is very broad and isn’t just AR-15’s and Ak’s. Basically, the anit-gunners want any rifle other than a .22 with a tube magazine holding more than 10 rounds to be deemed an “assault weapon”. Will this make it into the acutal Bill who knows. Could all of this change? Yes and probably will!

Right now there is a lot of conjecture and not much substance. But, writing your electeted officials and letting them know you don't want your 2nd Amendment Rights taken away is your best bet.

Please join the NRA if you’re not already a member.

Thank you,

Thanks Cuda Chick!

Hopefully a few more members will do the same!
Scuba, I've signed every one of those I can find.

But wowwwwww ... a whopping 3 stars given to this thread. Pretty dayum sad if ya ask me.
Scuba, I've signed every one of those I can find.

But wowwwwww ... a whopping 3 stars given to this thread. Pretty dayum sad if ya ask me.

I sent in the NRA drafted letter than I created my own. I wanted to make it somewhat personal!

I hope it helps but it sure won't hurt!